# Exercise
Now quote everything below with every line break kept.

# Source
<<<
Entry 1:
Here is a structure of composition CHF3FeO in a non-equilibrium geometry from OMol25. Energies are from ωB97M-V/def2-TZVPD.

Element x y z (Å)
C (1.381, 0.630, 0.290)
F (2.295, 0.643, -0.780)
F (2.179, 0.076, 1.308)
F (1.392, 1.989, 0.658)
H (-1.165, -0.572, -0.183)
Fe (-3.634, -1.724, -0.667)
O (-2.063, -0.981, -0.356)

Output
Charge = -1
E = -1677.16900 a.u.
2S+1 = 6
Kohn-Sham gap (spin up / spin down) = 0.2237 / 0.1854 Ha
Energy above the lowest of the compared OMol25 structures with the same formula, charge and spin = 0.1543 eV
Highest occupied orbital energy (spin up / spin down) = -3.031 / -3.032 eV

Entry 2:
Here is a structure of composition C40H35N11O2Ti in a non-equilibrium geometry from OMol25. Energies are from ωB97M-V/def2-TZVPD.

Element x y z (Å)
Ti (1.246, -0.529, 0.493)
N (2.835, 1.224, 0.155)
C (2.865, 1.775, 1.474)
C (3.361, 3.083, 1.638)
C (3.377, 3.696, 2.912)
C (2.788, 3.058, 3.979)
C (2.185, 1.812, 3.785)
C (1.626, 1.122, 4.908)
C (1.031, -0.078, 4.827)
C (0.992, -0.776, 3.515)
N (1.496, -0.022, 2.368)
C (2.233, 1.119, 2.547)
H (3.644, 0.682, -0.161)
H (2.559, 1.864, -0.586)
H (3.675, 3.602, 0.709)
H (3.802, 4.683, 2.987)
H (2.812, 3.431, 5.014)
H (1.558, 1.672, 5.881)
H (0.593, -0.566, 5.693)
H (-0.021, -1.145, 3.227)
C (-4.160, 0.233, 0.540)
C (-3.312, 0.602, 1.589)
C (-2.092, -0.059, 1.825)
C (-1.741, -1.162, 1.028)
C (-2.615, -1.577, -0.010)
C (-3.799, -0.897, -0.265)
N (-0.492, -1.819, 1.188)
N (-0.671, -3.096, 0.856)
C (-0.133, -4.086, 1.699)
C (-0.805, -5.313, 1.552)
C (-0.441, -6.444, 2.297)
C (0.629, -6.369, 3.208)
C (1.321, -5.169, 3.341)
C (0.986, -4.032, 2.590)
H (-5.116, 0.704, 0.395)
H (-3.605, 1.389, 2.257)
H (-1.479, 0.320, 2.661)
H (-2.290, -2.416, -0.619)
H (-4.474, -1.169, -1.079)
H (-1.622, -5.329, 0.835)
H (-0.979, -7.385, 2.218)
H (0.924, -7.224, 3.799)
H (2.111, -5.089, 4.087)
N (4.773, -2.667, 0.155)
C (3.613, -2.390, 0.738)
O (2.804, -1.613, 0.095)
C (3.231, -3.093, 1.918)
C (4.085, -4.032, 2.513)
N (4.764, -4.787, 3.100)
C (1.917, -2.881, 2.668)
N (1.793, -1.982, 3.544)
H (5.481, -3.165, 0.653)
H (5.011, -2.157, -0.686)
N (-2.468, 4.008, -4.007)
C (-3.005, 5.257, -4.407)
C (-3.611, 5.747, -5.550)
C (-3.995, 7.109, -5.522)
C (-3.770, 7.915, -4.384)
C (-3.167, 7.388, -3.224)
C (-2.755, 6.082, -3.238)
N (-2.188, 5.318, -2.227)
C (-1.966, 4.138, -2.732)
C (-1.257, 3.076, -2.071)
C (-0.635, 2.049, -2.771)
C (0.020, 1.056, -2.100)
N (0.120, 0.983, -0.748)
C (-0.478, 1.988, -0.082)
C (-1.077, 3.096, -0.680)
H (-2.453, 3.117, -4.493)
H (-3.720, 5.141, -6.441)
H (-4.493, 7.527, -6.380)
H (-4.088, 8.943, -4.412)
H (-3.075, 7.970, -2.303)
H (-0.626, 2.067, -3.867)
H (0.555, 0.287, -2.642)
H (-0.548, 1.890, 0.994)
H (-1.403, 3.913, -0.070)
C (-0.826, -2.761, -3.454)
N (0.199, -3.356, -2.577)
C (0.590, -4.743, -2.862)
C (0.854, -2.698, -1.607)
O (0.721, -1.459, -1.364)
H (-1.699, -3.433, -3.416)
H (-0.414, -2.771, -4.468)
H (-1.094, -1.742, -3.146)
H (-0.295, -5.350, -2.916)
H (1.258, -5.119, -2.093)
H (1.061, -4.831, -3.834)
H (1.456, -3.356, -0.966)

Output
Charge = +1
E = -3147.31544 a.u.
2S+1 = 2
Kohn-Sham gap (spin up / spin down) = 0.1965 / 0.1979 Ha
Energy above the lowest of the compared OMol25 structures with the same formula, charge and spin = 2.3999 eV
Highest occupied orbital energy (spin up / spin down) = -9.604 / -9.656 eV

Entry 3:
Here is the molecule C14H12Cl3FN2O4S2 in a non-equilibrium geometry from OMol25. Energies are from ωB97M-V/def2-TZVPD.

Element x y z (Å)
N (1.761, 2.623, 1.676)
S (1.836, 0.982, 1.441)
O (3.230, 0.670, 1.101)
O (1.427, 0.370, 2.730)
C (0.776, 0.605, 0.043)
C (-0.338, 1.424, -0.194)
C (-1.169, 1.222, -1.312)
Cl (-2.459, 2.323, -1.526)
C (-0.891, 0.259, -2.240)
F (-1.580, 0.176, -3.396)
C (0.235, -0.528, -2.022)
C (1.056, -0.401, -0.897)
N (2.195, -1.132, -0.811)
S (2.276, -2.805, -0.776)
O (1.421, -3.374, -1.832)
O (3.684, -3.123, -1.017)
C (1.737, -3.271, 0.895)
C (0.263, -3.765, 1.036)
C (-0.749, -2.648, 0.938)
C (-1.655, -2.590, -0.145)
>>>

# Outcome
Entry 1:
Here is a structure of composition CHF3FeO in a non-equilibrium geometry from OMol25. Energies are from ωB97M-V/def2-TZVPD.

Element x y z (Å)
C (1.381, 0.630, 0.290)
F (2.295, 0.643, -0.780)
F (2.179, 0.076, 1.308)
F (1.392, 1.989, 0.658)
H (-1.165, -0.572, -0.183)
Fe (-3.634, -1.724, -0.667)
O (-2.063, -0.981, -0.356)

Output
Charge = -1
E = -1677.16900 a.u.
2S+1 = 6
Kohn-Sham gap (spin up / spin down) = 0.2237 / 0.1854 Ha
Energy above the lowest of the compared OMol25 structures with the same formula, charge and spin = 0.1543 eV
Highest occupied orbital energy (spin up / spin down) = -3.031 / -3.032 eV

Entry 2:
Here is a structure of composition C40H35N11O2Ti in a non-equilibrium geometry from OMol25. Energies are from ωB97M-V/def2-TZVPD.

Element x y z (Å)
Ti (1.246, -0.529, 0.493)
N (2.835, 1.224, 0.155)
C (2.865, 1.775, 1.474)
C (3.361, 3.083, 1.638)
C (3.377, 3.696, 2.912)
C (2.788, 3.058, 3.979)
C (2.185, 1.812, 3.785)
C (1.626, 1.122, 4.908)
C (1.031, -0.078, 4.827)
C (0.992, -0.776, 3.515)
N (1.496, -0.022, 2.368)
C (2.233, 1.119, 2.547)
H (3.644, 0.682, -0.161)
H (2.559, 1.864, -0.586)
H (3.675, 3.602, 0.709)
H (3.802, 4.683, 2.987)
H (2.812, 3.431, 5.014)
H (1.558, 1.672, 5.881)
H (0.593, -0.566, 5.693)
H (-0.021, -1.145, 3.227)
C (-4.160, 0.233, 0.540)
C (-3.312, 0.602, 1.589)
C (-2.092, -0.059, 1.825)
C (-1.741, -1.162, 1.028)
C (-2.615, -1.577, -0.010)
C (-3.799, -0.897, -0.265)
N (-0.492, -1.819, 1.188)
N (-0.671, -3.096, 0.856)
C (-0.133, -4.086, 1.699)
C (-0.805, -5.313, 1.552)
C (-0.441, -6.444, 2.297)
C (0.629, -6.369, 3.208)
C (1.321, -5.169, 3.341)
C (0.986, -4.032, 2.590)
H (-5.116, 0.704, 0.395)
H (-3.605, 1.389, 2.257)
H (-1.479, 0.320, 2.661)
H (-2.290, -2.416, -0.619)
H (-4.474, -1.169, -1.079)
H (-1.622, -5.329, 0.835)
H (-0.979, -7.385, 2.218)
H (0.924, -7.224, 3.799)
H (2.111, -5.089, 4.087)
N (4.773, -2.667, 0.155)
C (3.613, -2.390, 0.738)
O (2.804, -1.613, 0.095)
C (3.231, -3.093, 1.918)
C (4.085, -4.032, 2.513)
N (4.764, -4.787, 3.100)
C (1.917, -2.881, 2.668)
N (1.793, -1.982, 3.544)
H (5.481, -3.165, 0.653)
H (5.011, -2.157, -0.686)
N (-2.468, 4.008, -4.007)
C (-3.005, 5.257, -4.407)
C (-3.611, 5.747, -5.550)
C (-3.995, 7.109, -5.522)
C (-3.770, 7.915, -4.384)
C (-3.167, 7.388, -3.224)
C (-2.755, 6.082, -3.238)
N (-2.188, 5.318, -2.227)
C (-1.966, 4.138, -2.732)
C (-1.257, 3.076, -2.071)
C (-0.635, 2.049, -2.771)
C (0.020, 1.056, -2.100)
N (0.120, 0.983, -0.748)
C (-0.478, 1.988, -0.082)
C (-1.077, 3.096, -0.680)
H (-2.453, 3.117, -4.493)
H (-3.720, 5.141, -6.441)
H (-4.493, 7.527, -6.380)
H (-4.088, 8.943, -4.412)
H (-3.075, 7.970, -2.303)
H (-0.626, 2.067, -3.867)
H (0.555, 0.287, -2.642)
H (-0.548, 1.890, 0.994)
H (-1.403, 3.913, -0.070)
C (-0.826, -2.761, -3.454)
N (0.199, -3.356, -2.577)
C (0.590, -4.743, -2.862)
C (0.854, -2.698, -1.607)
O (0.721, -1.459, -1.364)
H (-1.699, -3.433, -3.416)
H (-0.414, -2.771, -4.468)
H (-1.094, -1.742, -3.146)
H (-0.295, -5.350, -2.916)
H (1.258, -5.119, -2.093)
H (1.061, -4.831, -3.834)
H (1.456, -3.356, -0.966)

Output
Charge = +1
E = -3147.31544 a.u.
2S+1 = 2
Kohn-Sham gap (spin up / spin down) = 0.1965 / 0.1979 Ha
Energy above the lowest of the compared OMol25 structures with the same formula, charge and spin = 2.3999 eV
Highest occupied orbital energy (spin up / spin down) = -9.604 / -9.656 eV

Entry 3:
Here is the molecule C14H12Cl3FN2O4S2 in a non-equilibrium geometry from OMol25. Energies are from ωB97M-V/def2-TZVPD.

Element x y z (Å)
N (1.761, 2.623, 1.676)
S (1.836, 0.982, 1.441)
O (3.230, 0.670, 1.101)
O (1.427, 0.370, 2.730)
C (0.776, 0.605, 0.043)
C (-0.338, 1.424, -0.194)
C (-1.169, 1.222, -1.312)
Cl (-2.459, 2.323, -1.526)
C (-0.891, 0.259, -2.240)
F (-1.580, 0.176, -3.396)
C (0.235, -0.528, -2.022)
C (1.056, -0.401, -0.897)
N (2.195, -1.132, -0.811)
S (2.276, -2.805, -0.776)
O (1.421, -3.374, -1.832)
O (3.684, -3.123, -1.017)
C (1.737, -3.271, 0.895)
C (0.263, -3.765, 1.036)
C (-0.749, -2.648, 0.938)
C (-1.655, -2.590, -0.145)